**Work order:**
Return the lines below up to the one that holds "2.340408 -0.10", that line included.

**File:**
┌──
[1]
13 unconnected molecules or ions with the total composition C28H89N7O13 at a distorted geometry. Source: the Open Molecules 2025 dataset; level of theory: ωB97M-V/def2-TZVPD.

Geometry as XYZ:
```
137
Properties=species:S:1:pos:R:3:forces:R:3:mulliken_spin:R:1
O -26.401988 4.609196 3.211576 -0.30 0.12 -0.21 0.00
H -26.645196 5.277783 2.571207 -0.16 0.20 -0.23 0.00
H -26.264170 5.094739 4.024888 -0.04 0.14 0.35 0.00
O -25.597794 9.501190 1.948870 -1.06 0.05 0.12 0.00
H -24.920342 8.842956 1.793849 0.85 -0.22 -0.02 0.00
H -25.494980 10.125203 1.230354 0.02 0.16 -0.08 0.00
O -21.602776 3.035544 2.887813 0.56 -0.06 -0.83 0.00
H -22.555426 3.030208 2.980931 -0.62 -0.15 -0.15 0.00
H -21.278310 3.280237 3.754463 0.28 0.16 0.56 0.00
O -20.579318 4.198802 5.182003 -0.69 -0.24 0.41 0.00
H -20.151088 3.714568 5.887958 0.05 -0.15 0.22 0.00
H -19.859166 4.595718 4.692030 0.88 0.51 -0.49 0.00
O -24.302008 3.076801 3.404070 0.73 -0.62 0.05 0.00
H -24.077978 3.502942 4.231382 0.03 0.04 0.32 0.00
H -25.020295 3.601551 3.050611 -0.53 0.24 -0.13 0.00
O -23.875318 1.318751 -1.680810 -0.47 -0.55 0.09 0.00
H -23.853625 2.192945 -2.070106 0.31 0.44 -0.20 0.00
H -23.130450 1.305136 -1.079794 0.13 -0.05 0.19 0.00
C -26.222669 15.591211 3.091894 -0.49 -0.05 -0.62 0.00
C -24.867139 15.040138 3.481854 1.08 0.60 0.18 0.00
C -24.868603 13.577356 3.222058 -0.71 -0.69 1.23 0.00
O -23.681369 12.915000 3.608427 0.00 0.12 -1.04 0.00
C -23.758856 11.550445 3.250609 2.23 -0.21 0.31 0.00
N -23.740789 15.689851 2.771741 -1.02 0.20 -0.18 0.00
H -26.415951 15.544703 2.020175 0.42 0.08 -0.26 0.00
H -26.418402 16.619441 3.396061 0.21 -0.05 0.20 0.00
H -27.008910 14.949779 3.490013 0.01 0.11 0.44 0.00
H -24.793355 15.150937 4.563694 0.23 0.18 0.30 0.00
H -25.220742 13.401276 2.205650 0.42 -0.40 -0.34 0.00
H -25.582470 13.174592 3.940583 -0.86 -0.14 -0.35 0.00
H -23.691076 11.372217 2.177415 -1.09 0.29 -0.33 0.00
H -24.477305 10.935779 3.792933 -0.43 0.37 -0.32 0.00
H -22.770115 11.158363 3.488870 0.11 -0.19 0.66 0.00
H -23.848824 16.688111 2.880867 0.19 0.17 -0.09 0.00
H -22.824178 15.441651 3.115693 -0.15 -0.27 0.27 0.00
C -20.795400 10.540651 -0.796649 -0.31 0.38 0.75 0.00
C -19.915027 10.151448 0.424424 -0.39 0.75 -0.26 0.00
C -18.585327 10.914970 0.502654 0.56 -1.01 -1.26 0.00
O -17.754392 10.301644 1.451953 1.74 1.13 1.13 0.00
C -16.447455 10.997928 1.449403 -0.75 -0.85 0.41 0.00
N -20.755684 10.340584 1.621970 0.39 0.28 0.47 0.00
H -20.490948 10.254687 -1.803447 0.47 0.02 0.23 0.00
H -21.004231 11.609388 -0.748822 0.44 0.31 -0.26 0.00
H -21.806686 10.163073 -0.645633 0.03 -0.53 0.09 0.00
H -19.671630 9.089901 0.380039 0.09 -0.08 -0.03 0.00
H -18.628336 11.999168 0.606439 -0.58 0.20 0.45 0.00
H -18.007476 10.760111 -0.408495 -0.47 0.14 -0.91 0.00
H -15.753226 10.506314 2.130915 -0.39 -0.33 0.04 0.00
H -16.513308 12.030191 1.793210 -0.42 0.10 -0.12 0.00
H -15.986059 10.975379 0.462134 -0.23 -0.02 -0.23 0.00
H -20.203326 10.240580 2.461611 0.50 -0.76 0.18 0.00
H -20.991727 11.313149 1.757992 -0.42 0.54 -0.68 0.00
C -18.350574 6.100122 1.075271 0.16 -1.04 0.19 0.00
C -18.682370 5.030154 2.173430 0.74 -0.25 -2.02 0.00
C -17.716999 3.770114 2.004982 -0.37 0.60 0.38 0.00
O -16.372225 4.172192 2.185815 -1.06 2.03 0.81 0.00
C -15.395120 3.244249 1.927453 0.06 -0.91 -0.64 0.00
N -18.529782 5.544279 3.497366 0.81 -0.10 0.99 0.00
H -17.316703 6.444857 1.094508 0.07 -0.02 0.47 0.00
H -18.998107 6.973813 1.149193 -0.16 -0.10 -0.08 0.00
H -18.427082 5.601075 0.109250 -0.42 0.22 -0.27 0.00
H -19.723127 4.728918 2.054402 0.04 -0.44 -0.27 0.00
H -17.791712 3.273289 1.037674 -0.43 0.19 -0.32 0.00
H -17.948532 3.024998 2.766102 -0.29 -0.10 0.16 0.00
H -14.450065 3.596990 2.340408 -0.10 -0.11 -0.04 0.00
H -15.324587 3.111295 0.847887 0.42 -0.07 -0.31 0.00
H -15.669493 2.264276 2.317922 0.20 -0.20 0.39 0.00
H -18.897891 6.476755 3.620137 -0.32 0.17 -0.27 0.00
H -17.527590 5.662739 3.538212 0.43 0.11 0.85 0.00
C -27.569143 9.831522 -4.616269 1.69 -0.86 -0.07 0.01
└──

**Solution:**
[1]
13 unconnected molecules or ions with the total composition C28H89N7O13 at a distorted geometry. Source: the Open Molecules 2025 dataset; level of theory: ωB97M-V/def2-TZVPD.

Geometry as XYZ:
```
137
Properties=species:S:1:pos:R:3:forces:R:3:mulliken_spin:R:1
O -26.401988 4.609196 3.211576 -0.30 0.12 -0.21 0.00
H -26.645196 5.277783 2.571207 -0.16 0.20 -0.23 0.00
H -26.264170 5.094739 4.024888 -0.04 0.14 0.35 0.00
O -25.597794 9.501190 1.948870 -1.06 0.05 0.12 0.00
H -24.920342 8.842956 1.793849 0.85 -0.22 -0.02 0.00
H -25.494980 10.125203 1.230354 0.02 0.16 -0.08 0.00
O -21.602776 3.035544 2.887813 0.56 -0.06 -0.83 0.00
H -22.555426 3.030208 2.980931 -0.62 -0.15 -0.15 0.00
H -21.278310 3.280237 3.754463 0.28 0.16 0.56 0.00
O -20.579318 4.198802 5.182003 -0.69 -0.24 0.41 0.00
H -20.151088 3.714568 5.887958 0.05 -0.15 0.22 0.00
H -19.859166 4.595718 4.692030 0.88 0.51 -0.49 0.00
O -24.302008 3.076801 3.404070 0.73 -0.62 0.05 0.00
H -24.077978 3.502942 4.231382 0.03 0.04 0.32 0.00
H -25.020295 3.601551 3.050611 -0.53 0.24 -0.13 0.00
O -23.875318 1.318751 -1.680810 -0.47 -0.55 0.09 0.00
H -23.853625 2.192945 -2.070106 0.31 0.44 -0.20 0.00
H -23.130450 1.305136 -1.079794 0.13 -0.05 0.19 0.00
C -26.222669 15.591211 3.091894 -0.49 -0.05 -0.62 0.00
C -24.867139 15.040138 3.481854 1.08 0.60 0.18 0.00
C -24.868603 13.577356 3.222058 -0.71 -0.69 1.23 0.00
O -23.681369 12.915000 3.608427 0.00 0.12 -1.04 0.00
C -23.758856 11.550445 3.250609 2.23 -0.21 0.31 0.00
N -23.740789 15.689851 2.771741 -1.02 0.20 -0.18 0.00
H -26.415951 15.544703 2.020175 0.42 0.08 -0.26 0.00
H -26.418402 16.619441 3.396061 0.21 -0.05 0.20 0.00
H -27.008910 14.949779 3.490013 0.01 0.11 0.44 0.00
H -24.793355 15.150937 4.563694 0.23 0.18 0.30 0.00
H -25.220742 13.401276 2.205650 0.42 -0.40 -0.34 0.00
H -25.582470 13.174592 3.940583 -0.86 -0.14 -0.35 0.00
H -23.691076 11.372217 2.177415 -1.09 0.29 -0.33 0.00
H -24.477305 10.935779 3.792933 -0.43 0.37 -0.32 0.00
H -22.770115 11.158363 3.488870 0.11 -0.19 0.66 0.00
H -23.848824 16.688111 2.880867 0.19 0.17 -0.09 0.00
H -22.824178 15.441651 3.115693 -0.15 -0.27 0.27 0.00
C -20.795400 10.540651 -0.796649 -0.31 0.38 0.75 0.00
C -19.915027 10.151448 0.424424 -0.39 0.75 -0.26 0.00
C -18.585327 10.914970 0.502654 0.56 -1.01 -1.26 0.00
O -17.754392 10.301644 1.451953 1.74 1.13 1.13 0.00
C -16.447455 10.997928 1.449403 -0.75 -0.85 0.41 0.00
N -20.755684 10.340584 1.621970 0.39 0.28 0.47 0.00
H -20.490948 10.254687 -1.803447 0.47 0.02 0.23 0.00
H -21.004231 11.609388 -0.748822 0.44 0.31 -0.26 0.00
H -21.806686 10.163073 -0.645633 0.03 -0.53 0.09 0.00
H -19.671630 9.089901 0.380039 0.09 -0.08 -0.03 0.00
H -18.628336 11.999168 0.606439 -0.58 0.20 0.45 0.00
H -18.007476 10.760111 -0.408495 -0.47 0.14 -0.91 0.00
H -15.753226 10.506314 2.130915 -0.39 -0.33 0.04 0.00
H -16.513308 12.030191 1.793210 -0.42 0.10 -0.12 0.00
H -15.986059 10.975379 0.462134 -0.23 -0.02 -0.23 0.00
H -20.203326 10.240580 2.461611 0.50 -0.76 0.18 0.00
H -20.991727 11.313149 1.757992 -0.42 0.54 -0.68 0.00
C -18.350574 6.100122 1.075271 0.16 -1.04 0.19 0.00
C -18.682370 5.030154 2.173430 0.74 -0.25 -2.02 0.00
C -17.716999 3.770114 2.004982 -0.37 0.60 0.38 0.00
O -16.372225 4.172192 2.185815 -1.06 2.03 0.81 0.00
C -15.395120 3.244249 1.927453 0.06 -0.91 -0.64 0.00
N -18.529782 5.544279 3.497366 0.81 -0.10 0.99 0.00
H -17.316703 6.444857 1.094508 0.07 -0.02 0.47 0.00
H -18.998107 6.973813 1.149193 -0.16 -0.10 -0.08 0.00
H -18.427082 5.601075 0.109250 -0.42 0.22 -0.27 0.00
H -19.723127 4.728918 2.054402 0.04 -0.44 -0.27 0.00
H -17.791712 3.273289 1.037674 -0.43 0.19 -0.32 0.00
H -17.948532 3.024998 2.766102 -0.29 -0.10 0.16 0.00
H -14.450065 3.596990 2.340408 -0.10 -0.11 -0.04 0.00